Why Watershed Planning

Why is Watershed Planning Important?

Since topography, not political borders, determines watershed area, using the natural boundaries that define a watershed make for much more effective and efficient action in protecting water resources. By sharing information, developing common goals and coordinating activities such as water testing and reporting within the watershed, communities can become more successful in solving problems and can reach goals more quickly and inexpensively.

An EPA publication entitled “Why Watersheds” put it this way:

A ‘watershed approach’ uses hydrologically defined areas (watersheds) to coordinate the management of water resources. The approach is advantageous because it considers all activities within a landscape that affect watershed health. Ideally, a watershed approach will integrate biology, chemistry, economics, and social considerations into decision-making. It considers local stakeholder input and national and state goals and regulations. A watershed approach recognizes needs for water supply, water quality, flood control, navigation, hydropower generation, fisheries, biodiversity, habitat preservation, and recreation; and it recognizes that these needs often compete. It establishes local priorities in the context of national goals and coordinates public and private actions. A watershed approach offers a blue print for water resource management.

Unrelated to this entry: quantum chemistry results >
/*
A) Computed, not measured: a gas-phase ion, C5H13N2 (charge +1), with the ωB97M-V functional and the def2-TZVPD basis.

Structure (ORCA input):
```
! RIJCOSX wB97M-V def2-TZVPD def2/J DEFGRID3
* xyz 1 1
H 1.4215 0.7097 -1.2186
N -1.1521 -0.5154 -0.1570
H -1.2484 2.6349 -0.6153
C 1.2352 -1.5941 0.0898
H 0.7879 -2.3871 -0.5818
C 0.3373 -0.4126 0.2940
N -1.6811 1.7418 -0.8726
H -1.3459 -1.5126 -0.4525
C 0.4301 -0.0100 1.7187
H -0.0063 -0.7508 2.3925
H 0.5081 1.8030 -0.2719
H -0.8915 0.2112 -2.3165
H 1.4974 -0.0133 1.9031
H -1.9053 -0.2556 0.4345
H -2.5865 1.8389 -1.2374
C 0.5142 0.8217 -0.6894
H 0.0026 0.9842 1.7978
H 1.4937 -2.1666 0.9830
H 2.2162 -1.3036 -0.2827
C -0.8495 0.6408 -1.2417
*
```

## Properties
Lowest unoccupied orbital energy: -2.893 eV
SMILES: CC1(C)C[C@H](N)[NH2+]1
Kohn-Sham gap: 11.57 eV

***

B) Computed, not measured: a molecular structure, C5H13N2, with the ωB97M-V functional and the def2-TZVPD basis.

Structure (ORCA input):
```
! RIJCOSX wB97M-V def2-TZVPD def2/J DEFGRID3
* xyz 1 1
H 0.3632 1.9538 -0.7445
C -1.6437 0.2874 -0.8258
H -2.4074 -0.5025 -1.3058
C 0.3581 0.0332 1.5673
H 2.5254 -0.7197 0.5899
H 1.7612 0.9242 -0.9692
H -0.4148 -1.7052 0.4085
N 1.7600 -1.3005 0.2379
H -1.4924 -0.8163 2.0295
H -1.9262 0.4758 0.2449
H 0.0454 -0.7241 -1.7808
H 2.0827 -1.7051 -0.5932
N -0.2092 -0.1420 -1.0118
C 0.6772 0.9832 -1.3061
C -0.7694 0.0492 2.2463
H -1.0235 0.8354 2.9545
C 0.4604 -0.9568 0.5480
H 1.0114 0.8040 1.5293
H 0.6188 1.0978 -2.4528
H -1.7772 1.1281 -1.3661
*
```

## Properties
Lowest unoccupied orbital energy: -3.379 eV
Kohn-Sham gap: 10.96 eV

***

C) Computed, not measured: a gas-phase ion, C5H13N2 (charge +1), with the ωB97M-V functional and the def2-TZVPD basis.

Structure (ORCA input):
```
! RIJCOSX wB97M-V def2-TZVPD def2/J DEFGRID3
* xyz 1 1
H -2.6033 -0.5737 0.0075
N 1.8109 -1.8855 0.6747
N -1.9849 0.2704 -0.1127
C 0.9118 0.4112 1.4562
C 0.3017 -0.5859 -0.8297
H 0.1278 1.1536 1.4769
H 1.0326 0.0875 2.6187
H -0.0960 -1.2697 1.1752
H -2.6511 1.0299 -0.4005
H 2.6525 -1.3974 1.0362
C 0.8496 -0.8354 0.6673
C -0.8394 1.6287 -1.6654
H -0.3743 -1.3998 -1.0727
C -0.6792 0.5369 -0.8792
H 1.1425 -0.4254 -1.6208
H -0.0936 2.2928 -2.1653
H -1.5591 0.4299 0.9093
H 1.8123 0.9203 1.2140
H 2.0107 -2.1850 -0.3162
H -1.7717 1.7965 -2.1735
*
```

## Properties
Lowest unoccupied orbital energy: -3.702 eV
SMILES: C=C([NH3+])C[C@H](C)N
Kohn-Sham gap: 9.24 eV

***

D) Computed, not measured: a gas-phase ion, C5H13N2 (charge +1), with the ωB97M-V functional and the def2-TZVPD basis.

Structure (ORCA input):
```
! RIJCOSX wB97M-V def2-TZVPD def2/J DEFGRID3
* xyz 1 1
N -0.1001 1.1071 2.7130
C 0.9175 0.7823 1.6313
C 0.8229 -0.3235 0.8727
H 1.6916 1.5695 1.6870
H 1.4959 0.7176 -0.8639
H -1.0801 1.2021 2.4327
H -2.3982 -0.3380 -1.1351
H 0.0613 -1.9379 -2.4435
H -0.6157 0.9260 -1.6591
H 0.0045 0.4393 3.4923
H -1.2535 -0.9791 -3.0764
C 0.9585 -0.1989 -0.6212
H 0.1705 2.0257 3.0647
H 1.4745 -1.1317 -0.9415
H -1.5355 -1.2818 -0.1010
*/
So much for the quantum chemistry results >

The property boundaries of landowners and the political boundaries of states, tribes, counties, and municipalities are often unrelated to watershed boundaries. As a result, when citizens or governments have tried to coordinate water resource protection or restoration efforts, they have often found it difficult to do so. Evidence suggests that the watershed approach improves collaboration and information sharing among diverse partners and leveraging of resources.

And as the California Association of Resource Conservation Districts had noted on their website in 2002:

_The entry is interrupted by quantum chemistry results_
-- begin --
(1)
Formula: C46H48BiN3P
Source: OMol25
Level of theory: ωB97M-V/def2-TZVPD

Values from the calculation:
gap between HOMO and LUMO (alpha / beta) = 0.15552 / 0.15712 Eh
relative energy (zero: lowest compared OMol25 entry of this formula, charge and spin) = 0.0 kJ/mol
net charge = -1
energy = -68075.6827 eV
E_LUMO (alpha / beta) = 2.46 / 2.46 eV

Structure (XYZ):
```
99
Properties=species:S:1:pos:R:3:mulliken_charge:R:1
Bi -1.383 0.111 0.099 1.77
N -1.294 -1.855 1.460 0.22
N -0.181 -2.410 -1.369 0.64
C 1.518 1.768 -0.509 0.50
C 2.284 0.608 -0.215 1.24
C 2.108 0.304 1.163 0.14
C 2.642 -0.884 1.863 -1.55
H 3.520 -1.282 1.335 0.38
H 1.887 -1.690 1.910 0.01
H 2.938 -0.630 2.893 0.39
C 1.253 1.281 1.735 0.64
C 0.803 1.337 3.151 -0.57
H 1.547 1.815 3.808 0.39
H 0.634 0.321 3.544 0.30
H -0.130 1.907 3.265 -0.27
C 0.844 2.165 0.693 -0.38
C -0.051 3.340 0.853 -0.79
H -0.948 3.128 1.461 -0.08
H -0.382 3.734 -0.121 0.32
H 0.499 4.145 1.367 0.27
C 3.131 -0.147 -1.157 -1.69
H 4.041 -0.494 -0.648 0.52
H 3.422 0.486 -2.005 0.41
H 2.617 -1.038 -1.546 0.04
C 1.426 2.478 -1.806 -1.66
H 0.519 2.197 -2.372 0.14
H 2.291 2.245 -2.444 0.40
H 1.394 3.566 -1.639 0.45
C -1.993 -1.982 2.615 -1.49
H -2.156 -1.068 3.194 1.09
C -2.572 -3.176 3.001 -0.72
H -3.135 -3.208 3.925 0.55
C -2.510 -4.292 2.155 -0.62
H -3.106 -5.180 2.357 0.38
C -1.647 -4.228 1.078 -0.69
H -1.515 -5.046 0.382 0.47
C -0.948 -3.025 0.814 0.27
C 0.064 -3.016 -0.172 -1.34
H 0.801 -3.825 -0.225 0.48
C -0.807 -1.170 -1.600 -0.89
C 0.178 -3.005 -2.589 -0.54
H 0.640 -3.977 -2.590 0.48
C -0.217 -2.185 -3.554 -1.38
H -0.183 -2.284 -4.619 0.91
N -0.636 -0.982 -2.973 0.83
C -0.580 0.228 -3.720 0.59
C 0.576 0.468 -4.500 1.05
C 0.591 1.609 -5.311 -1.18
H 1.476 1.782 -5.921 0.22
C -0.468 2.508 -5.352 0.72
C -0.420 3.691 -6.271 -1.61
H -0.424 4.628 -5.707 0.31
H -1.277 3.713 -6.950 0.35
H 0.485 3.673 -6.880 0.36
C -1.580 2.265 -4.540 -1.32
H -2.415 2.967 -4.568 0.32
C -1.664 1.126 -3.723 1.42
C -2.932 0.834 -2.980 -1.19
H -3.361 -0.144 -3.252 0.27
H -3.677 1.609 -3.215 0.43
H -2.806 0.865 -1.879 -0.45
C 1.808 -0.386 -4.523 -1.49
H 1.635 -1.445 -4.729 0.40
H 2.411 -0.306 -3.614 0.06
H 2.432 -0.006 -5.339 0.41
C -7.114 4.205 1.061 -0.57
C -7.044 3.490 2.258 -0.72
C -6.004 2.594 2.487 -0.37
C -5.024 2.413 1.508 -0.15
C -5.074 3.126 0.294 -0.06
C -6.128 4.016 0.087 -0.50
P -3.671 1.227 1.790 0.23
C -2.951 1.998 3.306 1.06
C -2.780 3.397 3.333 -0.97
C -2.262 4.027 4.467 -0.55
C -1.868 3.264 5.573 -0.74
C -1.972 1.875 5.527 -0.80
C -2.501 1.245 4.399 -0.07
C -4.671 -0.209 2.361 0.85
C -5.073 -0.404 3.683 0.22
C -5.706 -1.599 4.046 -1.15
C -5.999 -2.564 3.087 -0.56
C -5.686 -2.330 1.749 -0.53
C -5.067 -1.142 1.375 -0.66
H -7.942 4.896 0.883 0.35
H -7.806 3.623 3.020 0.40
H -5.964 2.037 3.425 0.26
H -4.297 2.986 -0.466 0.37
H -6.186 4.569 -0.848 0.40
H -3.090 4.006 2.478 0.33
H -2.157 5.110 4.481 0.39
H -1.477 3.758 6.469 0.35
H -1.649 1.269 6.372 0.42
H -2.574 0.160 4.410 0.31
H -4.883 0.349 4.445 0.43
-- stop --

Watershed based planning is not a new or exotic approach to natural resource management. It is often known by various names such as Coordinated Resource Management and Planning (CRMP) or consensus based decision making. Some state and federal agencies, notably local Resource Conservation Districts and the United States Departments of Interior and Agriculture, have sponsored watershed-based projects for decades. Watershed-based management is the most effective way to enhance water quality and natural resources, protect critical wildlife habitat, prevent soil erosion, and sustain economic activities while managing the pressures of an urbanizing landscape.

Data records from another source follow =
........
Record 1
The following is a DFT calculation (wB97M-V/def2-TZVPD) of C33H50Cl2IrP2 as an isolated structure at a distorted geometry.

Last column: Mulliken spin population.
CARTESIAN COORDINATES (ANGSTROEM)
1 Ir -0.494 0.880 2.201  1.88
2 Cl -1.518 -1.163 2.005  0.33
3 Cl 0.374 2.554 0.891  0.32
4 P -2.074 1.619 4.067  1.01
5 P 0.063 -0.323 -2.162  0.00
6 C 2.432 -0.463 -3.916  0.00
7 C -0.830 1.816 -3.774  0.00
8 C 4.267 -1.208 3.892  0.20
9 C -2.613 3.438 6.250  0.02
10 C 0.529 0.841 3.723  0.81
11 C 0.882 -2.933 -1.444  0.00
12 C 3.315 -1.586 2.941  -0.11
13 C -1.929 -0.114 4.735  0.13
14 C -0.917 0.285 -3.639  0.00
15 C -2.389 -0.142 -3.482  0.00
16 C 3.770 0.213 -4.255  0.00
17 C -0.100 -2.187 -2.366  0.00
18 C -4.171 1.611 5.932  0.02
19 C 1.809 0.157 -2.656  -0.01
20 C -0.075 -2.805 -3.775  0.00
21 C 0.539 -5.056 -2.782  0.00
22 C -3.159 1.893 -4.777  0.00
23 C -3.049 2.332 5.471  0.02
24 C -1.698 2.332 -4.932  0.00
25 C -4.392 3.070 7.854  0.03
26 C 4.128 0.716 -1.799  0.00
27 C 1.783 0.108 3.779  -0.11
28 C 0.551 -4.431 -1.380  0.00
29 C -4.823 1.968 7.118  -0.01
30 C -3.257 0.369 -4.640  0.00
31 C -2.186 3.331 3.408  0.09
32 C 2.785 0.048 -1.468  0.00
33 C 4.747 0.127 -3.074  0.00
34 C 3.978 -0.182 4.796  -0.09
35 C 2.748 0.465 4.744  0.21
36 C 2.086 -0.941 2.884  0.23
37 C -0.418 -4.302 -3.714  0.00
38 C -3.296 3.811 7.414  -0.01
39 H -1.448 -4.418 -3.346  0.00
40 H -0.782 -2.293 -4.437  0.00
41 H -1.109 -0.756 4.397  -0.03
42 H -1.423 3.983 3.875  0.03
43 H 2.337 0.506 -0.578  0.00
44 H 2.610 -1.532 -3.742  0.00
45 H -0.437 -4.560 -0.917  0.00
46 H 5.225 -1.717 3.935  0.01
47 H 0.311 1.443 4.610  0.00
48 H -1.107 -2.364 -1.956  0.00
49 H -0.519 -0.164 -4.561  0.00
50 H -5.650 1.371 7.483  0.00
51 H -4.300 0.065 -4.486  0.00
52 H 5.683 0.643 -3.317  0.00
53 H -1.765 -0.045 5.830  0.02
54 H -1.732 4.006 5.995  0.00
55 H -4.509 0.725 5.415  0.00
56 H 1.275 -4.950 -0.739  0.00
57 H -2.883 -0.653 4.571  0.03
58 H -2.954 4.657 7.997  0.00
59 H -2.467 -1.233 -3.415  0.00
60 H 3.586 1.269 -4.498  0.00
61 H -4.892 3.337 8.777  0.00
62 H 0.865 -2.494 -0.439  0.00
63 H 4.210 -0.248 -5.148  0.00
64 H -3.203 3.783 3.465  0.00
65 H 2.960 -1.008 -1.227  0.00
66 H 1.554 -5.017 -3.202  0.00
67 H -0.389 -4.735 -4.721  0.00
68 H -1.162 2.276 -2.832  0.00
69 H 3.531 -2.395 2.249  0.00
70 H 3.965 1.794 -1.942  0.00
71 H 4.712 0.109 5.542  0.00
72 H 1.688 1.235 -2.848  0.00
73 H -1.631 3.425 -4.988  0.00
74 H -2.922 -0.102 -5.576  0.00
75 H 1.903 -2.811 -1.830  0.00
76 H 2.521 1.266 5.444  0.00
77 H -3.584 2.363 -3.879  0.00
78 H -1.301 1.939 -5.879  0.00
79 H 0.919 -2.682 -4.219  0.00
80 H 0.208 2.130 -3.931  0.00
81 H 4.821 0.608 -0.955  0.00
82 H -2.770 0.260 -2.532  0.00
83 H 1.332 -1.266 2.170  0.00
84 H -1.923 3.295 2.336  -0.01
85 H 5.002 -0.928 -2.896  0.00
86 H 0.260 -6.115 -2.724  0.00
87 H -3.754 2.240 -5.630  0.00
88 H 1.744 -0.387 -4.767  0.00

2S+1 = 6
DFT total energy = -2994.62495 Eh
<S²> = 8.796
........

Watershed wide planning also offers opportunities for funding projects that might otherwise be difficult to do municipality by municipality. It is evident that watershed planning makes good sense!